• Contents:
# Li2Tl2HgF6
Theoretical X-ray diffraction stick pattern, Cu Ka. Input: a cell relaxed with GGA-PBE.
Intensities are scaled so that the largest is 100.

Structure:
Unit cell a=6.934 b=6.934 c=6.934 alpha=52.74 beta=52.74 gamma=52.74
Fractional positions:
Li (0.084, 0.084, 0.084)
Li (0.916, 0.916, 0.916)
Tl (0.295, 0.295, 0.295)
Tl (0.705, 0.705, 0.705)
Hg (0.500, 0.500, 0.500)
F (0.248, 0.248, 0.738)
F (0.248, 0.738, 0.248)
F (0.262, 0.752, 0.752)
F (0.738, 0.248, 0.248)
F (0.752, 0.262, 0.752)
F (0.752, 0.752, 0.262)

The 10 most intense peaks (2θ = 15–90°), low angle first:
| 2θ (°) | I (rel.) |
| --- | --- |
| 17.35 | 96 |
| 26.03 | 42 |
| 29.00 | 100 |
| 30.11 | 100 |
| 39.36 | 32 |
| 42.28 | 61 |
| 51.39 | 21 |
| 52.10 | 45 |
| 54.16 | 21 |
| 68.67 | 21 |

* * * * *

Diffraction record for HgHC3NCl3. The PXRD pattern is computed, not measured: it uses a structure optimized by DFT (GGA-PBE) and copper Kα.
Neutral-atom scattering factors, no anomalous dispersion.

Structure:
abc: 10.927 10.927 14.064
angles: 128.60 128.60 49.42
Fractional coordinates of all 36 atoms:
Hg (0.000, 0.500, 0.500)
Hg (0.182, 0.818, 0.750)
Hg (0.500, 0.000, 0.000)
Hg (0.818, 0.182, 0.250)
H (0.021, 0.731, 0.189)
H (0.269, 0.979, 0.311)
H (0.731, 0.021, 0.689)
H (0.979, 0.269, 0.811)
C (0.031, 0.666, 0.311)
C (0.187, 0.517, 0.328)
C (0.237, 0.614, 0.335)
C (0.334, 0.969, 0.189)
C (0.386, 0.763, 0.165)
C (0.483, 0.813, 0.172)
C (0.517, 0.187, 0.828)
C (0.614, 0.237, 0.835)
C (0.666, 0.031, 0.811)
C (0.763, 0.386, 0.665)
C (0.813, 0.483, 0.672)
C (0.969, 0.334, 0.689)
N (0.072, 0.735, 0.281)
N (0.265, 0.928, 0.219)
N (0.735, 0.072, 0.781)
N (0.928, 0.265, 0.719)
Cl (0.107, 0.188, 0.460)
Cl (0.188, 0.107, 0.960)
Cl (0.190, 0.591, 0.758)
Cl (0.285, 0.393, 0.411)
Cl (0.393, 0.285, 0.911)
Cl (0.409, 0.810, 0.742)
Cl (0.591, 0.190, 0.258)
Cl (0.607, 0.715, 0.089)
Cl (0.715, 0.607, 0.589)
Cl (0.810, 0.409, 0.242)
Cl (0.812, 0.893, 0.040)
Cl (0.893, 0.812, 0.540)

Peak list (10 most intense, 2θ from 10° to 90°, in order of rising 2θ)
two_theta, Rel. int.
11.5, 100
12.6, 28
19.4, 9
21.3, 23
23.2, 10
27.1, 11
27.5, 20
28.1, 12
33.3, 12
35.1, 8

* * * * *

For Cr12As5C, a DFT-relaxed cell (GGA-PBE, the Materials Project) gives the computed X-ray powder pattern in this record (Cu Kα (λ = 1.5418 Å)).
Neutral-atom scattering factors, no anomalous dispersion.

Largest 10 diffraction maxima, by intensity, 5° ≤ 2θ ≤ 70°:
| 2theta | intensity |
| --- | --- |
| 42.83 | 100 |
| 39.54 | 98 |
| 48.88 | 46 |
| 51.76 | 38 |
| 57.24 | 20 |
| 27.67 | 19 |
| 57.08 | 6 |
| 40.37 | 6 |
| 66.99 | 6 |
| 45.19 | 5 |

Crystal structure
Unit cell a=3.2187 b=11.1814 c=6.4544 alpha=90.00 beta=90.00 gamma=90.00
Positions (direct):
Cr 0.0000 0.0000 0.0000
Cr 0.0000 0.1106 0.3412
Cr 0.0000 0.3634 0.8583
Cr 0.0000 0.5000 0.4629
Cr 0.0000 0.6366 0.8583
Cr 0.0000 0.8894 0.3412
Cr 0.5000 0.0000 0.5978
Cr 0.5000 0.1784 0.0487
Cr 0.5000 0.2943 0.5234
Cr 0.5000 0.5000 0.1281
Cr 0.5000 0.7057 0.5234
Cr 0.5000 0.8216 0.0487
As 0.0000 0.1600 0.7291
As 0.0000 0.3268 0.2257
As 0.0000 0.6732 0.2257
As 0.0000 0.8400 0.7291
As 0.5000 0.5000 0.7302
C 0.5000 0.0000 0.2243

* * * * *

Entry 1:
Theoretical powder diffractogram
Compound: Na6Ti2O7
Radiation: Cu Ka
Structure: the GGA-PBE geometry in the Materials Project
Intensities are scaled so that the largest is 100.

Largest 6 diffraction maxima, most intense first, 10 to 90 degrees two-theta:
- 32.95°, intensity 100
- 34.73°, intensity 79
- 36.20°, intensity 77
- 38.05°, intensity 72
- 18.97°, intensity 71
- 42.86°, intensity 56

Atomic structure:
Cell: 5.9729 5.9729 12.4810 Å, 100.36 100.36 94.39°
Fractional coordinates of all 30 atoms:
Na  0.0000  0.0000  0.0000
Na  0.0000  0.0000  0.5000
Na  0.0109  0.4512  0.8657
Na  0.0645  0.9355  0.7500
Na  0.2592  0.5495  0.4187
Na  0.4512  0.0109  0.3657
Na  0.4505  0.7408  0.0813
Na  0.5495  0.2592  0.9187
Na  0.5488  0.9891  0.6343
Na  0.7408  0.4505  0.5813
Na  0.9355  0.0645  0.2500

• Exercise:
Echo only the lines earlier on with the word "Compound" in them.

• Solution:
Compound: Na6Ti2O7